The Good and Empty Heart


Sermon preached by Fr. Antony Hughes on Sunday, October 11, 2015

The Reading from the Holy Gospel according to St. Luke. (8:5-15)

The Lord Jesus speaks to us today about soil. Soil represents the internal state of heart and mind. Are we open and receptive, which is another way to say are we “empty”, is there any room in us for God or are we too filled with ourselves to receive him?

The empty heart is one that is vigilant, observant, silent, dynamic, and loving. The empty heart is an open heart, always ready to receive and always ready to give. This is the heart of faith and Krishnamurti tells us that this faithful and empty heart is one that “will never bring about a deception with itself.” 

A faithful heart is a heart that receives everything with joy.  It is a heart that is unafraid, that has taken many steps along the narrow path of the Gospel.  It is a heart that has learned to let come and let go, without clinging, without craving, without judgment, a heart filled with faith and brimming with compassion. These are qualities of the heart of the good and faithful servant.

We all know people like this. We are drawn to them. We are comforted by them. They are purveyors of hope.  Pope Francis comes immediately to mind.

Or do we have hearts that are closed, hardened and full of themselves, that have no room for growth, who fear change, that bristle with self-defense, fear and worry?  This is the heart of one who craves and clings and judges and who may not even know he is doing these things. This is the heart of one who has no self-awareness, whose eyes are blinded with pride and who is crippled with an overriding concern for his own security. This fearful heart has no room for faith since faith demands letting go of control and fear always clings.

Jesus lived a life of absolute self-denial, of letting go and embracing the will of God moment by moment.  His life is the model for us. St. Paul writes of this most beautifully saying that, “Though his state was that of God, yet he did not deem equality with God something he should cling to. Rather, he emptied himself, and assuming the state of a slave, he was born in human likeness.  He, being known as one of us, humbled himself, obedient unto death, even death on the cross.”

St. Paul tells us that Christ had one operational mode: he continuously emptied himself. “He emptied himself taking on the form of a servant” and then he kept emptying himself even more unto death on the cross. 

Of course, it should come as no surprise that Paul encourages us to do the same.  “Have this mind in you that was also in Christ Jesus,” he writes.  This remarkable descent is our model.  It was a descent of love the same descent we are called to emulate.

I came across something very interesting in my reading this week.  In fact, it affected me deeply. It shook me.  It is a little litany for contemplation and prayer that gets at the heart of the transformation we need in order to make true Christians of ourselves. It challenges us to go deeper to strive for an authentic change of mind.  I have to thank Cynthia Bourgeault and her book THE WISDOM JESUS for this.

If instructions came attached, they would sound something like this.  Find a quiet place to sit, still your mind, breathe deeply and regularly and when you have achieved some stillness of mind repeat after me:

“Lord, I let go my desire for security and survival.
Lord, I let go my desire for esteem and affection.
Lord, I let go my desire for power and control.
Lord, I let go my desire to change the situation.”

# Attached: records of crystals
____________
## CaCu2P2 (r2SCAN)

Data for crystalline CaCu2P2 at its relaxed geometry.

a b c (Å): 5.6051 5.6051 5.6051
angles (deg): 138.12 138.12 60.72
Element x y z (fractional)
Ca1 0.0000 0.0000 0.0000
Cu1 0.2500 0.7500 0.5000
Cu2 0.7500 0.2500 0.5000
P1 0.3812 0.3812 0.0000
P2 0.6188 0.6188 0.0000

- Space-group type: No. 139
- Energy relative to the elements: -0.6355 eV/atom
- Crystal system: tetragonal

* * * * *

Record 1
! Na2CaMnAl2P2H2O10F4 | Materials Project | r2SCAN | optimized geometry; values from VASP
&SYSTEM
  ibrav = 0, nat = 48, ntyp = 8
/
ATOMIC_SPECIES
H 1.01 H.upf
P 30.97 P.upf
Al 26.98 Al.upf
O 16.00 O.upf
Na 22.99 Na.upf
F 19.00 F.upf
Mn 54.94 Mn.upf
Ca 40.08 Ca.upf
CELL_PARAMETERS angstrom
-0.8644 -5.8169 4.1009
8.7538 0.5460 -1.5616
3.7168 2.0468 7.9318
ATOMIC_POSITIONS crystal
H 0.7622 0.7780 0.9720
P 0.6305 0.4179 0.8224
Al 0.0000 0.0000 0.0000
O 0.0850 0.1769 0.0742
O 0.5167 0.5202 0.2534
O 0.2459 0.4418 0.1336
Na 0.9546 0.6239 0.1376
F 0.8560 0.3543 0.1439
Na 0.0454 0.3761 0.8624
Mn 0.5000 0.5000 0.5000
O 0.5167 0.0202 0.7534
F 0.1646 0.9028 0.0853
F 0.1440 0.6457 0.8561
Ca 0.5000 0.2500 0.2500
Na 0.9546 0.1239 0.6376
O 0.5083 0.7594 0.4799
F 0.1440 0.1457 0.3561
O 0.9150 0.3231 0.4258
O 0.7541 0.0582 0.3664
F 0.1646 0.4028 0.5853
F 0.8560 0.8543 0.6439
F 0.8354 0.0972 0.9147
O 0.2177 0.6243 0.3002
P 0.3695 0.0821 0.6776
O 0.4917 0.2406 0.5201
O 0.7823 0.8757 0.1998
P 0.3695 0.5821 0.1776
H 0.2378 0.2220 0.0280
H 0.2378 0.7220 0.5280
Mn 0.5000 0.0000 0.0000
F 0.8354 0.5972 0.4147
Al 0.0000 0.7500 0.7500
O 0.9150 0.8231 0.9258
O 0.5083 0.2594 0.9799
O 0.4833 0.4798 0.7466
Al 0.0000 0.2500 0.2500
O 0.0850 0.6769 0.5742
Na 0.0454 0.8761 0.3624
O 0.7541 0.5582 0.8664
Ca 0.5000 0.7500 0.7500
O 0.4833 0.9798 0.2466
H 0.7622 0.2780 0.4720
Al 0.0000 0.5000 0.5000
P 0.6305 0.9179 0.3224
O 0.7823 0.3757 0.6998
O 0.2459 0.9418 0.6336
O 0.4917 0.7406 0.0201
O 0.2177 0.1243 0.8002
! Energy of formation from the pure elements, eV per atom: -2.83

=====

Record 2
! CaAl2Ge2 | Materials Project | r2SCAN | optimized geometry; values from VASP
&SYSTEM
  ibrav = 0, nat = 5, ntyp = 3
/
ATOMIC_SPECIES
Ca 40.08 Ca.upf
Al 26.98 Al.upf
Ge 72.64 Ge.upf
CELL_PARAMETERS angstrom
4.1697 0.0000 0.0000
-2.0848 3.6110 0.0000
0.0000 0.0000 7.1537
ATOMIC_POSITIONS crystal
Ca 0.0000 0.0000 0.0000
Al 0.3333 0.6667 0.6278
Al 0.6667 0.3333 0.3722
Ge 0.3333 0.6667 0.2620
Ge 0.6667 0.3333 0.7380
! Energy of formation from the pure elements, eV per atom: -0.48

=====

Record 3
! Ca3Al2Ge3 | Materials Project | r2SCAN | optimized geometry; values from VASP
&SYSTEM
  ibrav = 0, nat = 32, ntyp = 3
/
ATOMIC_SPECIES
Ca 40.08 Ca.upf
Al 26.98 Al.upf
Ge 72.64 Ge.upf
CELL_PARAMETERS angstrom
11.3921 0.0000 0.0000
0.0000 4.3363 0.0000
0.0000 0.0000 14.7804
ATOMIC_POSITIONS crystal
Ca 0.1057 0.2500 0.0622
Ca 0.1057 0.7500 0.4337
Ca 0.1225 0.2500 0.7970
Ca 0.3775 0.7500 0.2970
Ca 0.3943 0.2500 0.9337
Ca 0.3943 0.7500 0.5622
Ca 0.6057 0.2500 0.4378
Ca 0.6057 0.7500 0.0663
____________

This litany represents the practice of surrender of ourselves, of our very lives, into the hands of God.  It is in this act of surrender than we meet him in a most intimate and personal way.  We come as we are and meet him as he is and the intimate union begins for there is nothing left standing in the way. 

I also ran across a beautiful quote from Ram Dass, who was a most interesting and lovely soul. “I would like my life to be a statement of love and compassion and where it isn’t, that’s where my work lies.”  I do not know of a more Christian statement than that.  And what is it that hinders us from living such a perfect life? The desire for control, power and esteem are the very things that cause us to be selfish, competitive, and unloving, so I think focusing on letting go of them is key to our spiritual growth.